[What to do]
Next, return the material further down from the line with "-6.399" to the end word for word.

[Contents]
........
Record 1
This record from the Open Molecules 2025 dataset describes 25 unconnected molecules or ions with the total composition C22H80BrF6NO31P2. The level of theory is wB97M-V/def2-TZVPD.

The geometry in ORCA input format:
```
! wB97M-V def2-TZVPD RIJCOSX def2/J DEFGRID3
* xyz 0 1
C -1.567 5.929 3.256
O -0.622 5.003 2.776
C -1.012 4.351 1.561
C 0.211 4.296 0.664
C -0.014 3.647 -0.714
C -0.192 2.127 -0.760
O -1.410 1.713 -0.115
C -2.603 1.727 -0.825
F -2.533 2.497 -1.937
Br -3.888 2.637 0.414
P -3.450 0.125 -1.294
C -3.193 -1.048 0.086
C -2.742 -0.497 -2.862
C 0.941 1.365 -0.030
C 2.339 1.906 -0.344
C 2.675 2.083 -1.842
C 3.402 0.904 -2.480
C 4.725 0.577 -1.843
O 5.371 1.351 -1.171
O 5.174 -0.667 -2.094
O 0.578 1.443 1.350
C 1.521 1.013 2.284
C 0.814 0.836 3.641
F 1.292 1.801 4.487
F -0.533 1.089 3.518
C 0.938 -0.517 4.301
C 0.692 -0.594 5.671
C 0.760 -1.806 6.338
C 1.071 -2.966 5.640
C 1.310 -2.883 4.275
C 1.615 -4.135 3.509
F 2.965 -4.356 3.422
F 1.094 -5.230 4.091
F 1.170 -4.100 2.244
C 1.244 -1.670 3.601
P 0.912 -0.451 -0.512
N 0.368 -0.691 -1.934
O 0.110 -1.131 0.701
O 2.392 -1.087 -0.330
H -2.414 5.436 3.748
H -1.939 6.586 2.464
H -1.067 6.553 3.998
H -1.344 3.344 1.816
H -1.811 4.923 1.083
H 0.516 5.332 0.484
H 1.022 3.841 1.227
H -0.915 4.091 -1.143
H 0.808 3.948 -1.364
H -0.166 1.790 -1.798
H -2.451 -1.816 -0.123
H -2.999 -0.503 1.013
H -4.149 -1.551 0.224
H -2.122 0.238 -3.371
H -3.578 -0.790 -3.494
H -2.129 -1.374 -2.674
H 3.104 1.261 0.087
H 2.444 2.877 0.143
H 3.331 2.950 -1.923
H 1.805 2.309 -2.456
H 3.636 1.158 -3.522
H 2.795 0.005 -2.537
H 4.385 -1.242 -2.148
H 2.297 1.771 2.442
H 2.035 0.102 1.980
H 0.448 0.309 6.219
H 0.549 -1.841 7.397
H 1.107 -3.918 6.153
H 1.412 -1.653 2.537
H 0.985 -1.221 -2.539
H -0.673 -0.586 0.898
H 2.646 -1.282 0.585
O 4.003 4.442 -2.900
H 4.142 5.123 -3.567
H 4.442 4.776 -2.106
O -3.172 -0.696 3.652
H -2.258 -0.423 3.798
H -3.252 -1.529 4.129
O 4.379 4.348 -0.038
H 4.856 4.767 0.685
H 4.681 3.429 -0.031
O -1.376 -4.572 6.841
H -1.798 -5.438 6.873
H -1.024 -4.515 5.947
O -0.271 -8.118 4.099
H -0.249 -8.389 3.176
H 0.298 -7.344 4.135
O 3.249 -2.271 -3.561
H 2.986 -3.197 -3.533
H 3.695 -2.205 -4.414
O 4.183 -4.219 -5.365
H 4.060 -4.356 -6.310
H 5.050 -4.587 -5.171
O -2.875 -3.674 -1.841
H -3.455 -4.446 -1.934
H -2.005 -4.001 -2.091
O -4.591 -4.286 -4.102
H -4.454 -4.526 -5.024
H -4.205 -3.408 -4.008
O -6.327 0.257 0.745
H -6.370 0.492 1.678
H -5.655 0.856 0.391
O 1.929 -3.394 -5.712
H 2.171 -2.759 -6.399
H 2.269 -3.012 -4.897
O -6.963 -1.258 3.288
H -6.019 -1.075 3.361
H -7.107 -2.023 3.852
O 6.821 3.277 -2.721
H 7.709 3.543 -2.467
H 6.626 2.461 -2.240
O 0.952 -1.481 -7.785
H 0.315 -0.767 -7.883
H 0.863 -1.996 -8.592
O -9.040 0.937 2.755
H -9.937 0.776 2.450
H -8.617 0.068 2.749
O 2.332 3.139 -4.891
H 2.754 3.588 -4.146
H 2.620 2.227 -4.779
O 3.446 -7.066 1.674
H 3.241 -6.200 2.038
H 4.390 -7.034 1.491
O 2.180 1.500 -7.680
H 2.245 1.961 -6.836
H 2.793 1.972 -8.251
O 5.310 2.567 -5.268
H 5.578 3.208 -5.931
H 5.632 2.935 -4.433
O -7.365 3.449 -1.145
H -6.432 3.626 -0.983
H -7.527 2.617 -0.681
O -9.637 4.917 0.835
H -10.281 4.204 0.797
H -8.815 4.506 0.539
O 4.041 -1.688 2.193
H 5.001 -1.630 2.218
H 3.827 -2.472 2.707
O -3.844 -6.325 -1.018
H -4.618 -6.242 -0.451
H -3.097 -6.209 -0.422
O -0.416 2.150 6.978
H -0.250 2.548 6.115
H -1.255 2.526 7.263
*
```

As for the highest occupied orbital energy: -7.8 eV. The largest force on an atom is 0.038 hartree/bohr. Its total energy is -7129.44224 Ha.

Record 2
This record from the Open Molecules 2025 dataset describes a molecular structure, C32H23AuF5N3O3PS2. The level of theory is wB97M-V/def2-TZVPD.

The geometry in ORCA input format:
```
! wB97M-V def2-TZVPD RIJCOSX def2/J DEFGRID3
* xyz 1 1
Au -0.198 -0.348 -0.323
N 0.372 4.125 0.317
C 1.548 4.481 1.015
C 2.465 5.333 0.427
C 3.628 5.679 1.105
C 3.880 5.152 2.360
C 2.968 4.276 2.937
C 1.796 3.950 2.277
S 0.619 2.874 3.055
N -0.382 2.399 1.772
C -0.379 3.034 0.671
C -1.411 2.624 -0.321
........

[Reply]
H 2.171 -2.759 -6.399
H 2.269 -3.012 -4.897
O -6.963 -1.258 3.288
H -6.019 -1.075 3.361
H -7.107 -2.023 3.852
O 6.821 3.277 -2.721
H 7.709 3.543 -2.467
H 6.626 2.461 -2.240
O 0.952 -1.481 -7.785
H 0.315 -0.767 -7.883
H 0.863 -1.996 -8.592
O -9.040 0.937 2.755
H -9.937 0.776 2.450
H -8.617 0.068 2.749
O 2.332 3.139 -4.891
H 2.754 3.588 -4.146
H 2.620 2.227 -4.779
O 3.446 -7.066 1.674
H 3.241 -6.200 2.038
H 4.390 -7.034 1.491
O 2.180 1.500 -7.680
H 2.245 1.961 -6.836
H 2.793 1.972 -8.251
O 5.310 2.567 -5.268
H 5.578 3.208 -5.931
H 5.632 2.935 -4.433
O -7.365 3.449 -1.145
H -6.432 3.626 -0.983
H -7.527 2.617 -0.681
O -9.637 4.917 0.835
H -10.281 4.204 0.797
H -8.815 4.506 0.539
O 4.041 -1.688 2.193
H 5.001 -1.630 2.218
H 3.827 -2.472 2.707
O -3.844 -6.325 -1.018
H -4.618 -6.242 -0.451
H -3.097 -6.209 -0.422
O -0.416 2.150 6.978
H -0.250 2.548 6.115
H -1.255 2.526 7.263
*
```

As for the highest occupied orbital energy: -7.8 eV. The largest force on an atom is 0.038 hartree/bohr. Its total energy is -7129.44224 Ha.

Record 2
This record from the Open Molecules 2025 dataset describes a molecular structure, C32H23AuF5N3O3PS2. The level of theory is wB97M-V/def2-TZVPD.

The geometry in ORCA input format:
```
! wB97M-V def2-TZVPD RIJCOSX def2/J DEFGRID3
* xyz 1 1
Au -0.198 -0.348 -0.323
N 0.372 4.125 0.317
C 1.548 4.481 1.015
C 2.465 5.333 0.427
C 3.628 5.679 1.105
C 3.880 5.152 2.360
C 2.968 4.276 2.937
C 1.796 3.950 2.277
S 0.619 2.874 3.055
N -0.382 2.399 1.772
C -0.379 3.034 0.671
C -1.411 2.624 -0.321